(Source)
- - -
# PBE Ba5Ca2Nb3O15, relaxed
data_Ba5Ca2Nb3O15
_cell_length_a 13.580
_cell_length_b 13.580
_cell_length_c 8.526
_cell_angle_alpha 90.00
_cell_angle_beta 90.00
_cell_angle_gamma 90.00
_space_group_name_H-M_alt 'I 4/m'
_space_group_IT_number 87
_space_group_name_Hall '-I 4'
loop_
_atom_site_label
_atom_site_fract_x
_atom_site_fract_y
_atom_site_fract_z
Ba1 0.000 0.500 0.250
Ba2 0.099 0.802 0.245
Ca1 0.102 0.298 0.500
Nb1 0.000 0.000 0.000
Nb2 0.000 0.000 0.500
Nb3 0.102 0.306 0.000
O1 0.000 0.000 0.246
O2 0.042 0.659 0.000
O3 0.047 0.138 0.500
O4 0.047 0.142 0.000
O5 0.059 0.645 0.500
O6 0.097 0.292 0.233
O7 0.236 0.247 0.000
# - formation enthalpy at 0 K (eV/atom) = -3.2133
# - uncorrected energy (eV/cell) = -752.63

---

# PBE CaEuGdSbO6, relaxed
data_CaEuGdSbO6
_cell_length_a 5.982
_cell_length_b 6.243
_cell_length_c 8.672
_cell_angle_alpha 90.55
_cell_angle_beta 90.17
_cell_angle_gamma 90.41
_space_group_name_H-M_alt 'P -1'
_space_group_IT_number 2
loop_
_space_group_symop_operation_xyz
'x,y,z'
'-x,-y,-z'
loop_
_atom_site_label
_atom_site_fract_x
_atom_site_fract_y
_atom_site_fract_z
Ca1 0.021 0.433 0.248
Eu1 0.477 0.932 0.252
Gd1 0.000 0.000 0.500
Gd2 0.500 0.500 0.000
Sb1 0.000 0.000 0.000
Sb2 0.500 0.500 0.500
O1 0.107 0.976 0.768
O2 0.178 0.716 0.056
O3 0.216 0.683 0.443
O4 0.285 0.184 0.055
O5 0.322 0.216 0.445
O6 0.391 0.477 0.733
# - formation enthalpy at 0 K (eV/atom) = -2.9531
# - uncorrected energy (eV/cell) = -171.13
# - energy relative to the lowest polymorph listed for this composition (kJ/mol of formula units) = 0

---

# PBE Na30Ca16Ta8Si15S21O144, relaxed
data_Na30Ca16Ta8Si15S21O144
_cell_length_a 9.260
_cell_length_b 16.083
_cell_length_c 23.249
_cell_angle_alpha 89.82
_cell_angle_beta 89.94
_cell_angle_gamma 89.97
_space_group_name_H-M_alt 'P 1'
_space_group_IT_number 1
loop_
_space_group_symop_operation_xyz
'x,y,z'
loop_
_atom_site_label
_atom_site_fract_x
_atom_site_fract_y
_atom_site_fract_z
Na1 0.000 0.000 0.000
Na2 0.000 0.670 0.344
Na3 0.044 0.352 0.000
Na4 0.143 0.850 0.503
Na5 0.152 0.202 0.170
Na6 0.186 0.170 0.839
Na7 0.189 0.501 0.502
Na8 0.205 0.197 0.493
Na9 0.325 0.018 0.408
Na10 0.335 0.355 0.576
Na11 0.344 0.681 0.748
Na12 0.350 0.352 0.075
Na13 0.356 0.684 0.260
Na14 0.361 0.018 0.907
Na15 0.479 0.196 0.991
Na16 0.497 0.498 0.001
Na17 0.499 0.170 0.342
Na18 0.534 0.202 0.667
Na19 0.542 0.853 0.001
Na20 0.643 0.354 0.502
Na21 0.652 0.702 0.171
Na22 0.688 0.999 0.502
Na23 0.704 0.696 0.494
Na24 0.824 0.519 0.409
Na25 0.831 0.185 0.754
Na26 0.842 0.515 0.908
Na27 0.844 0.845 0.576
Na28 0.849 0.856 0.078
Na29 0.856 0.183 0.259
Na30 0.988 0.696 0.002
Ca1 0.333 0.348 0.238
Ca2 0.337 0.681 0.102
Ca3 0.339 0.011 0.272
Ca4 0.340 0.348 0.430
Ca5 0.345 0.681 0.603
Ca6 0.346 0.348 0.929
Ca7 0.349 0.011 0.771
Ca8 0.352 0.350 0.736
Ca9 0.833 0.848 0.238
Ca10 0.836 0.180 0.102
Ca11 0.839 0.511 0.272
Ca12 0.839 0.848 0.430
Ca13 0.842 0.515 0.770
Ca14 0.843 0.848 0.929
Ca15 0.845 0.846 0.731
Ca16 0.851 0.181 0.602
Ta1 0.342 0.014 0.560
Ta2 0.342 0.015 0.059
Ta3 0.343 0.682 0.908
Ta4 0.357 0.682 0.407
Ta5 0.829 0.182 0.906
Ta6 0.843 0.514 0.059
Ta7 0.846 0.517 0.560
Ta8 0.857 0.183 0.408
Si1 0.052 0.681 0.501
Si2 0.135 0.181 0.004
Si3 0.183 0.194 0.334
Si4 0.194 0.534 0.003
Si5 0.196 0.831 0.003
Si6 0.491 0.830 0.505
Si7 0.493 0.534 0.506
Si8 0.502 0.194 0.835
Si9 0.551 0.180 0.505
Si10 0.640 0.680 0.006
Si11 0.682 0.694 0.334
Si12 0.695 0.033 0.005
Si13 0.695 0.331 0.004
Si14 0.991 0.332 0.504
Si15 0.992 0.033 0.505
S1 0.011 0.695 0.839
S2 0.033 0.342 0.839
S3 0.056 0.012 0.164
S4 0.130 0.512 0.666
S5 0.152 0.840 0.338
S6 0.195 0.872 0.665
S7 0.199 0.508 0.337
S8 0.204 0.159 0.667
S9 0.482 0.158 0.166
S10 0.490 0.510 0.839
S11 0.493 0.871 0.164
S12 0.532 0.838 0.838
S13 0.556 0.512 0.164
S14 0.631 0.012 0.664
S15 0.651 0.340 0.338
S16 0.695 0.372 0.665
S17 0.698 0.009 0.338
S18 0.704 0.660 0.665
S19 0.982 0.659 0.165
S20 0.987 0.007 0.838
S21 0.992 0.372 0.164
O1 0.000 0.188 0.347
O2 0.011 0.537 0.012
- - -
(Work order)
Your job: copy only the lines further up with the word "Na3" in them.
(Here it is)
Na3 0.044 0.352 0.000